# Work order
Now return the block below from the first line to the one with "-1.80223" without additions.

# Contents
'''
Entry from OMol25: C6H18N7O2SiV as an isolated structure (ωB97M-V/def2-TZVPD).

Element x y z (Å)
V: -0.45413 2.09747 1.70631
N: 0.08329 -1.18341 -0.09227
N: 0.50330 -1.50203 1.19817
C: 0.94891 -0.54199 2.00991
N: 1.38405 -0.86292 3.22697
N: 0.97032 0.71078 1.52555
N: 1.24492 1.71636 2.52409
O: 1.36968 2.89187 1.89146
O: 0.11675 1.76366 3.42282
H: -0.92890 -1.11480 -0.12585
H: 0.43991 -1.86540 -0.74654
H: 0.33450 -2.42198 1.57785
H: 1.38642 -1.82072 3.53352
H: 1.47343 -0.14600 3.92821
N: -1.60227 3.88369 1.57346
N: -1.04343 3.54782 0.28545
H: -2.61502 3.83074 1.56242
H: -1.29044 4.79359 1.89411
H: -0.44314 4.28017 -0.07723
H: -1.77020 3.30164 -0.37717
C: -5.46921 0.74443 -1.17952
Si: -4.55316 -0.41901 -0.04496
C: -3.93016 -1.91192 -0.97416
C: -5.58450 -0.91351 1.42136
C: -3.05336 0.48834 0.58526
C: -2.04954 1.05399 0.99254
H: -6.35618 0.25688 -1.58968
H: -4.84599 1.05736 -2.01892
H: -5.80146 1.63565 -0.64408
H: -4.76520 -2.47573 -1.39529
H: -3.37870 -2.58390 -0.31320
H: -3.27770 -1.62699 -1.80223
H: -6.48940 -1.42927 1.09381
H: -5.88760 -0.04143 2.00296
H: -5.03469 -1.58412 2.08343

Computed properties:
- relative energy (zero: lowest compared OMol25 entry of this formula, charge and spin) (kJ/mol) = 0.00
- E_LUMO (alpha / beta) (eV) = -4.3 / -3.3
- 2S+1 = 2
- DFT total energy (eV) = -54594.446
- E_HOMO (alpha / beta) (eV) = -12.35 / -12.52
- charge = +1
- frontier orbital gap (alpha / beta) (eV) = 8.09 / 9.25
'''

# Solution
Entry from OMol25: C6H18N7O2SiV as an isolated structure (ωB97M-V/def2-TZVPD).

Element x y z (Å)
V: -0.45413 2.09747 1.70631
N: 0.08329 -1.18341 -0.09227
N: 0.50330 -1.50203 1.19817
C: 0.94891 -0.54199 2.00991
N: 1.38405 -0.86292 3.22697
N: 0.97032 0.71078 1.52555
N: 1.24492 1.71636 2.52409
O: 1.36968 2.89187 1.89146
O: 0.11675 1.76366 3.42282
H: -0.92890 -1.11480 -0.12585
H: 0.43991 -1.86540 -0.74654
H: 0.33450 -2.42198 1.57785
H: 1.38642 -1.82072 3.53352
H: 1.47343 -0.14600 3.92821
N: -1.60227 3.88369 1.57346
N: -1.04343 3.54782 0.28545
H: -2.61502 3.83074 1.56242
H: -1.29044 4.79359 1.89411
H: -0.44314 4.28017 -0.07723
H: -1.77020 3.30164 -0.37717
C: -5.46921 0.74443 -1.17952
Si: -4.55316 -0.41901 -0.04496
C: -3.93016 -1.91192 -0.97416
C: -5.58450 -0.91351 1.42136
C: -3.05336 0.48834 0.58526
C: -2.04954 1.05399 0.99254
H: -6.35618 0.25688 -1.58968
H: -4.84599 1.05736 -2.01892
H: -5.80146 1.63565 -0.64408
H: -4.76520 -2.47573 -1.39529
H: -3.37870 -2.58390 -0.31320
H: -3.27770 -1.62699 -1.80223